On this journey, I became more self-aware and I learned that femininity starts on the inside. How are you as a person? Do your habits reflect the standard you are trying to live up to? We all have ways about us that we need to change for the better, and if you are trying to be feminine the following may help:-
1) Cursing
The language we use reflects our character. Cursing not only makes you seem more aggressive but it's also unattractive when every sentence you use has a foul word or your first response to a disagreement is to curse.
Many people say that's how they express themselves but as feminine ladies, we can find other less bizarre ways to do so.
2)Being Rude
When a feminine woman enters a room everyone is somewhat drawn to her, not only because she's beautiful but also because she radiates good energy. She's more approachable, polite and everyone wants to interact with her. being rude does the opposite, it keeps people away from you, it gives your character a bad look, and makes you less attractive. Rudeness comes in many forms such as being impolite, insensitive, inconsiderate, violation of someone's privacy and being offensive just to name a few. Look within yourself and be extremely honest and ask yourself "do I have any of these traits?" If you do, it's never too late to make a change.
3) Not taking care of your body
As stated in a previous blog post, it's important to look your best(at home and going out) because when you look your best you feel your best! As women, we should be putting effort into ourselves on the inside and outside. Stay hydrated, eat stuff that makes your body happy(fast food won't hurt every once in a while though :P), find a form of workout that's best for you whether it be dancing, walking, jogging, or high impact exercises. Also, stay well-groomed, don't leave the house with messy hair or in your pajamas remember a feminine lady is polished and put together.
4) Bad Manners
Bad manners do not only mean not saying good morning or thank you. Some other examples of bad manners are speaking loudly and interrupting others, not respecting other people's items, passing gas or burping without saying excuse, or asking to be excused(when interacting with others), Chewing gum with your mouth open, and many more.
These materials data were left in the article by mistake.
<<<
No. 1
32
Lattice="5.934 0.000 0.000 2.835 7.159 0.000 2.949 2.340 6.786" Properties=species:S:1:pos:R:3 comment="Li9Mn2Co5O16, relaxed, DFT GGA+U" ef_ev_per_atom=-1.8276 energy_corrected_mp2020_ev_per_cell=-208.7 pbc="T T T"
Li 0.000 0.000 0.000
Li 2.900 4.738 3.378
Li 4.282 7.161 2.479
Li 2.942 2.377 1.691
Li 4.353 4.807 0.832
Li 2.953 0.029 0.021
Li 7.401 4.694 5.988
Li 8.795 7.149 5.104
Li 7.419 2.356 4.287
Mn 5.817 7.146 5.093
Mn 5.868 4.758 3.384
Co 4.322 4.685 5.952
Co 4.452 2.333 4.297
Co 7.329 7.195 2.447
Co 5.947 2.317 1.671
Co 7.365 4.823 0.835
O 3.054 3.633 5.105
O 1.425 1.322 0.894
O 4.541 5.925 4.241
O 5.788 5.980 6.645
O 5.869 8.288 3.525
O 7.209 8.280 5.816
O 4.535 3.557 2.636
O 5.848 3.616 4.986
O 5.864 5.875 1.794
O 7.160 5.983 4.172
O 4.418 1.183 0.971
O 5.856 1.176 3.359
O 5.965 3.582 0.063
O 7.232 3.654 2.581
O 10.366 8.190 5.893
O 8.672 5.903 1.697

***

No. 2
36
Lattice="4.768 -6.931 0.000 4.768 6.931 0.000 -1.648 0.000 7.485" Properties=species:S:1:pos:R:3 comment="LiCoP4O12, relaxed, DFT GGA+U" ef_ev_per_atom=-2.3978 energy_corrected_mp2020_ev_per_cell=-266.4 pbc="T T T"
Li 3.944 4.859 3.743
Li 4.768 -4.859 0.000
Co 3.284 1.852 0.231
Co 2.459 -1.852 3.973
P 2.765 4.655 6.641
P 1.060 1.045 4.621
P 1.884 -1.045 0.879
P 3.736 1.070 3.357
P 2.912 -1.070 7.099
P 6.133 2.240 4.734
P 3.589 -4.655 2.898
P 6.957 -2.240 0.991
O 2.757 4.899 5.190
O 0.696 1.763 5.898
O 3.956 5.554 7.238
O 1.967 0.465 0.913
O 2.405 1.689 4.022
O 2.909 3.240 7.180
O 1.143 -0.465 4.656
O 1.520 -1.763 2.156
O 4.057 1.845 2.100
O 2.828 0.428 7.005
O 5.816 3.699 4.375
O 3.230 -1.689 0.279
O 3.652 -0.428 3.263
O 4.789 1.403 4.502
O 3.233 -1.845 5.843
O 6.664 1.942 6.072
O 3.733 -3.240 3.438
O 5.613 -1.403 0.759
O 7.066 1.597 3.579
O 3.582 -4.899 1.447
O 6.241 -1.597 7.321
O 6.640 -3.699 0.633
O 7.489 -1.942 2.329
O 4.781 -5.554 3.495

***

No. 3
28
Lattice="6.049 0.000 0.000 0.000 6.049 0.000 0.000 0.000 8.553" Properties=species:S:1:pos:R:3 comment="Zn3Fe8CoO16, relaxed, DFT GGA+U" ef_ev_per_atom=-1.7002 energy_corrected_mp2020_ev_per_cell=-205.4 pbc="T T T"
Zn 0.000 0.000 0.000
Zn 0.000 3.024 6.416
Zn 3.024 0.000 2.137
Fe 0.000 1.512 3.208
Fe 0.000 4.536 3.208
Fe 1.512 0.000 5.345
Fe 1.512 3.024 1.070
Fe 3.024 1.512 7.484
Fe 3.024 4.536 7.484
Fe 4.536 0.000 5.345
Fe 4.536 3.024 1.070
Co 3.024 3.024 4.277
O 0.000 1.388 5.257
O 0.000 1.638 1.158
O 0.000 4.411 1.158
O 0.000 4.661 5.257
O 1.388 0.000 3.296
O 1.387 3.024 3.119
O 1.638 0.000 7.395
O 1.637 3.024 7.572
O 3.024 1.387 5.434
O 3.024 1.637 0.981
O 3.024 4.411 0.981
O 3.024 4.662 5.434
O 4.411 0.000 7.395
O 4.411 3.024 7.572
O 4.661 0.000 3.296
O 4.662 3.024 3.119

***

No. 4
40
Lattice="7.207 0.000 0.000 0.000 7.680 0.000 0.000 0.000 9.978" Properties=species:S:1:pos:R:3 comment="LiVSO4F3, relaxed, DFT GGA+U" ef_ev_per_atom=-2.4283 energy_corrected_mp2020_ev_per_cell=-259.8 pbc="T T T"
Li 1.375 1.065 0.000
Li 2.228 4.905 4.989
Li 4.979 2.775 0.000
Li 5.832 6.615 4.989
V 0.036 5.776 2.128
>>>
Having bad manners ruins your whole vibe, you can be the most beautiful person in the room but if your manners are poor you're making yourself less attractive.
5) Trying to be overly independent
Nothing is wrong with doing stuff on your own, it feels good knowing you accomplished something by yourself but a habit that is really popular these days especially in women, is being overly independent. This causes you to avoid asking for help, it makes you more stressed and it is also a trauma response. I get it, sometimes we get hurt or feel like a bother or too needy but you have to heal, let go and be open because the more you cling to that trauma or fear it's gonna get worse and it's gonna leave you hurt. Talk to someone, Pray about it, Get professional help whatever works and is a healthier way for you but don't hold onto it.
Thank you for reading my blog! I hope you enjoyed it and I hope to have you back here again :)
Bye Lovies!